## File
Record 1
Computed, not measured: an isolated molecule of C5H3F at a distorted geometry, with ωB97M-V/def2-TZVPD.

```
9
Properties=species:S:1:pos:R:3:nbo_charge:R:1
H -0.017 1.340 1.441 0.26
C 0.203 0.022 -0.256 -0.31
F 2.588 -1.754 2.712 -0.29
C 1.341 -1.737 2.161 0.38
H 0.487 -0.899 -0.777 0.22
C 0.172 0.293 1.010 -0.28
C 0.227 -2.306 1.423 -0.07
C 0.461 -0.918 1.658 -0.10
H 0.187 0.882 -1.010 0.20
```

E_tot, eV: -7945.164
Relative energy (zero: lowest compared OMol25 entry of this formula, charge and spin), kcal/mol: 45.2
Lowest unoccupied orbital energy, hartree: 0.0220
Gap between HOMO and LUMO, eV: 10.1
SMILES: C=CC1=C=C1F

---

Record 2
Computed, not measured: a structure of composition C29H59N12O3PmS3 at a distorted geometry, with ωB97M-V/def2-TZVPD.

```
107
Properties=species:S:1:pos:R:3:lowdin_spin:R:1
C -1.791 -2.652 -2.830 0.00
H 2.471 -2.133 -1.987 0.00
H -4.999 -2.879 -3.477 0.00
C -2.778 3.090 -0.860 0.00
H -0.207 -5.266 3.529 0.00
C -3.425 -2.903 1.167 0.00
H 0.900 -1.812 -3.727 0.00
H -1.448 5.269 -0.088 0.00
N -0.356 1.896 -1.865 -0.01
C 2.536 1.904 2.353 0.00
H 0.724 -2.671 6.510 0.00
H -1.021 -5.317 -4.651 0.00
C 1.938 0.304 4.093 0.00
C 1.474 -1.800 -1.671 0.00
H -0.459 0.186 -3.057 0.00
C -1.570 -4.384 -4.476 0.00
C 0.200 1.031 -2.914 0.00
N -1.673 3.774 -1.514 0.00
N 2.289 1.648 3.658 0.00
C 2.811 -0.146 -0.563 0.00
H 0.835 -4.831 2.170 0.00
H 1.785 3.326 -2.887 0.00
N -1.533 -4.034 -3.071 0.00
H -2.868 -5.570 -2.470 0.00
O 1.414 -4.269 5.439 0.00
C 2.868 1.185 0.168 0.00
C 2.826 4.077 1.205 0.00
O -3.378 -1.751 0.328 0.00
N 3.291 3.041 2.102 0.00
C -0.727 3.104 -2.207 0.00
N -0.215 3.785 -3.293 0.00
H 1.506 4.875 -3.684 0.00
H 2.378 0.142 5.082 0.00
H 2.137 -5.678 4.168 0.00
S -1.314 0.626 2.986 -0.01
N 0.656 -1.639 1.436 0.00
H -0.584 -1.674 4.555 0.00
H -0.827 5.701 -3.942 0.00
H -2.097 4.464 -3.860 0.00
H -1.100 -3.599 -5.077 0.00
C 1.575 0.513 -2.550 0.00
H 2.636 4.997 1.765 0.00
H -4.250 -0.616 -3.662 0.00
C 4.370 3.421 2.986 0.00
H -1.090 -3.314 5.024 0.00
H 3.566 4.314 0.427 0.00
C 0.526 -2.225 -2.771 0.00
H 0.945 2.559 4.985 0.00
H 2.879 -0.953 0.165 0.00
H -2.626 -3.604 0.922 0.00
Pm -0.328 0.499 0.357 4.04
H 2.334 -0.421 3.379 0.00
H 0.856 0.186 4.146 0.00
C 0.367 -2.364 2.294 0.00
H 0.266 1.544 -3.878 0.00
H 4.080 4.245 3.644 0.00
H 1.242 -2.322 -0.750 0.00
H -3.703 3.637 -1.068 0.00
H -0.616 5.578 -1.600 0.00
C 0.575 -4.578 3.197 0.00
N -0.001 -3.214 3.240 0.00
H -2.851 2.073 -1.241 0.00
H -3.362 -2.595 2.212 0.00
H -2.620 3.038 0.202 0.00
C -4.268 -2.934 -2.664 0.00
C 1.763 -4.655 4.120 0.00
C -1.935 -5.082 -2.156 0.00
H -0.899 4.432 -5.168 0.00
H -4.040 -3.983 -2.466 0.00
H -2.596 -4.524 -4.855 0.00
N -3.069 -2.180 -3.023 0.00
H 1.755 -2.237 5.143 0.00
H 1.897 3.765 0.746 0.00
S -0.460 3.072 1.542 -0.01
H 2.561 -3.999 3.731 0.00
O -2.410 -0.056 -0.377 0.00
C -1.053 4.641 -4.099 0.00
H 4.689 2.580 3.605 0.00
C -1.093 2.358 3.001 0.00
H 5.219 3.763 2.395 0.00
H -2.365 5.767 -1.517 0.00
N 1.563 -0.347 -1.340 0.00
H 1.373 3.375 -4.621 0.00
H 2.248 1.344 -2.356 0.00
H -4.703 -2.509 -1.757 0.00
H -1.168 -5.854 -2.116 0.00
H 3.657 -0.247 -1.246 0.00
C 1.959 2.700 4.626 0.00
C 0.959 -2.907 5.479 0.00
H 2.652 2.678 5.469 0.00
H 2.450 1.961 -0.483 0.00
H -2.088 -4.682 -1.158 0.00
C -0.270 -2.723 4.616 0.00
H -2.508 -0.277 -3.748 0.00
N -0.845 -1.817 -2.594 0.00
H 2.007 3.674 4.152 0.00
S -1.493 3.292 4.306 0.00
H -3.341 -0.237 -2.186 0.00
C -1.521 5.172 -1.164 0.00
C 1.188 3.830 -3.646 0.00
N 2.125 1.101 1.412 0.00
H 0.634 -3.301 -2.850 0.00
C -2.257 -1.121 0.280 0.00
H 3.912 1.469 0.348 0.00
H 2.012 -0.040 -3.388 0.00
C -3.294 -0.736 -3.145 0.00
H -4.392 -3.341 0.949 0.00
```

Multiplicity: 5
E_tot, eV: -104113.848
Relative energy (zero: lowest compared OMol25 entry of this formula, charge and spin), kcal/mol: 0.0
Lowest unoccupied orbital energy (alpha / beta), hartree: 0.0110 / 0.0110
Gap between HOMO and LUMO (alpha / beta), eV: 6.5 / 6.5

---

Record 3

## What to do
Could you reproduce every line earlier on that contains the word "Record"?

## Completed
Record 1
Record 2
Record 3